Winners of brackets:
13th bracket Todd Cornell (0-4)
12th bracket David Key (1-3)
11th bracket Bill McFadden (1-3)
10th bracket Daniel Pardo(1-3)
9th bracket Mark Ferreck (1-3)
8th bracket Jorge Ruiz (2-2)
7th Bracket James Wathkins (2-2)
6th Bracket Will Pauly (2-2)
5th bracket Simon Leen (2-2)
4th Bracket Alex Fennel (3-1)
**Unrelated to this entry: data records**
- - -
Below is an optimized crystal structure of NaMg2B, with properties calculated at the PBE level.

Calculated values
Formation enthalpy at 0 K in meV per atom: 615.0
Mass density in g/cm3: 1.13
Space group: No. 141
Total DFT energy (no corrections) in Ry per atom: -0.1603
Total moment in μB/f.u.: 0.0

abc: 7.375 7.375 7.375
angles: 128.05 128.05 76.54
Fractional positions:
Na 0.375 0.625 0.750
Na 0.625 0.375 0.250
Mg 0.000 0.000 0.000
Mg 0.000 0.000 0.500
Mg 0.000 0.500 0.000
Mg 0.500 0.000 0.500
B 0.125 0.875 0.250
B 0.875 0.125 0.750

Below is an optimized crystal structure of Pu2BiI2, with properties calculated at the PBE level.

Calculated values
Mass density in g/cm3: 7.96
Space group: No. 166
Total DFT energy (no corrections) in Ry per atom: -0.5819
Total moment in μB/f.u.: 11.0

abc: 11.540 11.540 11.540
angles: 22.55 22.55 22.55
Fractional positions:
Pu 0.112 0.112 0.112
Pu 0.888 0.888 0.888
Bi 0.500 0.500 0.500
I 0.277 0.277 0.277
I 0.723 0.723 0.723
- - -
**The entry goes on**
3rd bracket Andrew Sutton (3-1)
2nd Bracket Ray Totek (3-1)
1st Bracket Tony Kopach (4-0)
Best Sportsman: Justin Hilderbrandt
Best Conversion (A Miniature Frankenstein): Joe Johnson
Best Single Mini (Well Beyond Crayon): Chris Debuque
Best Army Appearance: Gabe Dobkins
Best General: Tony Kopach
Second to One (Best General runner up): Allan Hernandez
Renaissance Man: Gabe Dobkins
And the codex win percentages:
6 x Black Templars (26-30) 46.4%
22 x Blood Angels (97-79) 55.1%
6 x Chaos Daemons (16-32) 33.3%
6 x Chaos Space Marines (16-32) 33.3%
5 x Dark Angels (23-17) 57.5%
14 x Dark Eldar (58-54) 51.8%
6 x Eldar (21-27) 43.8%
32 x Grey Knights (140-116) 54.7%
21 x Imperial Guard (88-80) 52.4%
3 x Necron (11-13) 45.8%
These materials data were left in the article by mistake:
=====
[1]
The following is a PBE-GGA calculation of crystalline SrNdTlPd at its relaxed geometry, from the Alexandria database.

Geometry as CIF:
```
data_SrNdTlPd
_chemical_formula_sum 'Sr4 Nd4 Tl4 Pd4'
_cell_length_a 7.6684
_cell_length_b 7.6684
_cell_length_c 7.6684
_cell_angle_alpha 90.00
_cell_angle_beta 90.00
_cell_angle_gamma 90.00
_space_group_name_H-M_alt 'F -4 3 m'
_space_group_IT_number 216
_space_group_name_Hall 'F -4 2 3'
loop_
_atom_site_label
_atom_site_fract_x
_atom_site_fract_y
_atom_site_fract_z
_atom_site_occupancy
Sr1 0.0000 0.0000 0.0000 1
Nd1 0.0000 0.0000 0.5000 1
Tl1 0.2500 0.2500 0.7500 1
Pd1 0.2500 0.2500 0.2500 1
```

[2]
The following is a PBE-GGA calculation of crystalline NdTaPd at its relaxed geometry, from the Alexandria database.

Geometry as CIF:
```
data_NdTaPd
_chemical_formula_sum 'Nd4 Ta4 Pd4'
_cell_length_a 4.7677
_cell_length_b 4.7763
_cell_length_c 11.4458
_cell_angle_alpha 90.00
_cell_angle_beta 90.00
_cell_angle_gamma 90.00
_space_group_name_H-M_alt 'C m m m'
_space_group_IT_number 65
_space_group_name_Hall '-C 2 2'
loop_
_atom_site_label
_atom_site_fract_x
_atom_site_fract_y
_atom_site_fract_z
_atom_site_occupancy
Nd1 0.0000 0.0000 0.1741 1
Ta1 0.0000 0.5000 0.3716 1
Pd1 0.0000 0.0000 0.5000 1
Pd2 0.0000 0.5000 0.0000 1
```

[3]
# TbNdPd PBE-GGA optimized geometry
# **Polymorph energy (0 for the lowest one)**: 0.000 eV per formula unit
data_TbNdPd
_chemical_formula_sum 'Tb2 Nd2 Pd2'
_cell_length_a 3.6106
_cell_length_b 3.6106
_cell_length_c 12.4693
_cell_angle_alpha 90.00
_cell_angle_beta 90.00
_cell_angle_gamma 90.00
_space_group_name_H-M_alt 'I 4 m m'
_space_group_IT_number 107
_space_group_name_Hall 'I 4 -2'
loop_
_atom_site_label
_atom_site_fract_x
_atom_site_fract_y
_atom_site_fract_z
_atom_site_occupancy
Tb1 0.0000 0.0000 0.0000 1
Nd1 0.0000 0.0000 0.7248 1
Pd1 0.0000 0.0000 0.3770 1

[4]
The following is a PBE-GGA calculation of crystalline Tb5Nd2Pd4 at its relaxed geometry, from the Alexandria database.

Geometry as CIF:
```
data_Tb5Nd2Pd4
_chemical_formula_sum 'Tb10 Nd4 Pd8'
_cell_length_a 24.9554
_cell_length_b 3.6402
_cell_length_c 6.8462
_cell_angle_alpha 90.00
_cell_angle_beta 93.56
_cell_angle_gamma 90.00
_space_group_name_H-M_alt 'C 1 2/m 1'
_space_group_IT_number 12
loop_
_space_group_symop_operation_xyz
'x,y,z'
'-x,-y,-z'
'-x,y,-z'
'x,-y,z'
'x+1/2,y+1/2,z'
'-x+1/2,-y+1/2,-z'
'-x+1/2,y+1/2,-z'
'x+1/2,-y+1/2,z'
loop_
_atom_site_label
_atom_site_fract_x
_atom_site_fract_y
_atom_site_fract_z
_atom_site_occupancy
Tb1 0.0000 0.0000 0.0000 1
Tb2 0.1333 0.5000 0.1860 1
Tb3 0.2363 0.5000 0.7506 1
Nd1 0.0929 0.5000 0.6766 1
Pd1 0.0258 0.5000 0.3133 1
Pd2 0.1733 0.0000 0.4915 1
```

Going through the records in order, we get energy relative to the elements values of -417 -44 -496 -384 meV per atom.


# Zr4ZnPC2

A relaxed structure of Zr4ZnPC2 (PBE, OQMD via LeMat-Bulk).

Total DFT energy (no corrections)   -65.49 eV per formula unit

Cell: 3.398 3.398 13.241 Å, 90.00 90.00 120.00°
=====
10 x Ork (39-41) 48.8%
27 x Space Marines (96-120) 44.4%
25 x Space Wolves (106-94) 53%
6 x Tau (18-30) 37.5%
10 x Tyranids (34-46) 42.5%
4 x Witch Hunters (15-17) 46.9%
I'm working on some further statistics but am waiting on Mike to weight the results :). You can find all the results and raw numbers on Whiskey & 40k until then.
s00nertp 38p · 708 weeks ago
blaise · 708 weeks ago
Kirby 118p · 708 weeks ago
Andrew = Stelek
Justin = Dash
- - -
No. 1
Entry from the Open Quantum Materials Database: a relaxed Dy2Er3Tm2Te2Pd2 crystal (GGA-PBE).

Unit cell a=3.9134 b=15.6351 c=9.5605 alpha=90.00 beta=90.00 gamma=90.00
Last column: nearest neighbours and their distance in Å.
Space group Imm2 (No. 44)
Asymmetric unit:
Dy 0.0000 0.1437 0.0000 x4  2 Pd 2.92, 2 Te 3.14
Er 0.0000 0.3708 0.8486 x4  2 Pd 2.86, 3 Te 3.10-3.16
Er 0.0000 0.5000 0.2642 x2  3 Te 3.19-3.24
Tm 0.0000 0.1824 0.6399 x4  2 Pd 2.83, 1 Te 3.15
Te 0.0000 0.0000 0.5003 x2  2 Tm 3.15, 6 Er 3.16-3.19
Te 0.0000 0.5000 0.6030 x2  3 Er 3.10-3.24, 4 Dy 3.14
Pd 0.0000 0.2622 0.3337 x4  2 Tm 2.83, 2 Er 2.86, 2 Dy 2.92

Calculated values
- Final energy: -5.258 eV/atom
- Magnetization: 0.01 μB per formula unit

No. 2
Entry from the Open Quantum Materials Database: a relaxed BeReSbPb crystal (GGA-PBE).

Unit cell a=6.7795 b=6.7795 c=6.7795 alpha=90.00 beta=90.00 gamma=90.00
Last column: nearest neighbours and their distance in Å.
Space group F-43m (No. 216)
Asymmetric unit:
Be 0.0000 0.0000 0.0000 x4  4 Pb 2.94, 4 Re 2.94
Re 0.2500 0.2500 0.2500 x4  4 Sb 2.94, 4 Be 2.94
Sb 0.0000 0.0000 0.5000 x4  4 Re 2.94, 4 Pb 2.94
Pb 0.2500 0.2500 0.7500 x4  4 Sb 2.94, 4 Be 2.94

Calculated values
- Final energy: -4.850 eV/atom
- Magnetization: 1.04 μB per formula unit

No. 3
Entry from the Open Quantum Materials Database: a relaxed KBeFe2 crystal (GGA-PBE).

Unit cell a=3.5266 b=3.5266 c=6.7200 alpha=90.00 beta=90.00 gamma=120.00
Last column: nearest neighbours and their distance in Å.
Space group P3m1 (No. 156)
Asymmetric unit:
K 0.0000 0.0000 0.0000 x1  3 Be 3.12, 3 Fe 3.17
Be 0.3333 0.6667 0.3509 x1  1 Fe 1.93
Fe 0.3333 0.6667 0.6386 x1  1 Be 1.93, 3 Fe 2.14
Fe 0.6667 0.3333 0.5396 x1  3 Fe 2.14, 3 Be 2.40

Calculated values
- Final energy: -4.386 eV/atom
- Magnetization: 0.64 μB per formula unit


(1)
Entry from the Alexandria database: NpPa6Bi10 after structural relaxation (PBE).

Output
DFT total energy = -111.4 eV per formula unit
Calculated volume = 505 Å³ per cell
Magnetization = 10.16 μB/f.u.
ΔH_f (0 K) = -0.1574 eV/atom
Symmetry = P-31m (162)

Lattice parameters (Å, degrees): 9.5613 9.5613 6.3779 90.00 90.00 120.00
Last column: nearest neighbours and their distance in Å.
Fractional positions:
Np1 0.0000 0.0000 0.0000  6 Bi 3.09
Pa1 0.0000 0.3881 0.2450  9 Bi 3.28-3.46
Pa2 0.0000 0.6119 0.7550  9 Bi 3.28-3.46
Pa3 0.3881 0.0000 0.2450  9 Bi 3.28-3.46
Pa4 0.3881 0.3881 0.7550  9 Bi 3.28-3.46
Pa5 0.6119 0.0000 0.7550  9 Bi 3.28-3.46
Pa6 0.6119 0.6119 0.2450  9 Bi 3.28-3.46
Bi1 0.0000 0.2691 0.7330  1 Np 3.09, 4 Pa 3.28-3.31
Bi2 0.0000 0.7309 0.2670  1 Np 3.09, 4 Pa 3.28-3.31
Bi3 0.2691 0.0000 0.7330  1 Np 3.09, 4 Pa 3.28-3.31
Bi4 0.2691 0.2691 0.2670  1 Np 3.09, 4 Pa 3.28-3.31
Bi5 0.3333 0.6667 0.0000  2 Bi 3.19, 6 Pa 3.35
Bi6 0.3333 0.6667 0.5000  2 Bi 3.19, 6 Pa 3.38
Bi7 0.6667 0.3333 0.0000  2 Bi 3.19, 6 Pa 3.35
Bi8 0.6667 0.3333 0.5000  2 Bi 3.19, 6 Pa 3.38
Bi9 0.7309 0.0000 0.2670  1 Np 3.09, 4 Pa 3.28-3.31
- - -
Back to the piece
Chris = Jawaballs
Allan = Blackmoor
In the top 16 also included were Spag, Hulksmash, yermom and Neil from 11th company.
Tratchenberg · 708 weeks ago
Blackmoor · 708 weeks ago
Southawe · 708 weeks ago
Zjoekov 74p · 708 weeks ago
Southawe · 708 weeks ago
The Lieutenant · 708 weeks ago
The best army, you can't really see it, but it's painted/converted to be a Cobra army from G.I. Joe. It's absolutely amazing, well deserved best army prize. He'd put so much work into it, each of the Cobra characters was a different model, Cobra Commander as the Company Commander, etc. The guy was sound as hell too, all in all, throughly deserved best army and Rennaissance Man.
bully · 708 weeks ago
Nardo · 708 weeks ago
Blackmoor · 708 weeks ago
I think for the Nova Open he just added another terminator squad.
Frazhar · 707 weeks ago
Gramps · 708 weeks ago
htmlord · 708 weeks ago
I used a system similar to that used for ranking NCAA Football, where wins against superior opponents are worth more than wins against... not so superior opponents. Basically, the final win loss rating of each player influences the value you get from beating that player. From there, I pulled out 3 values for each codex, Mean, Median, and what I call SAG rating (inspired by Jeff Sagarin of USAToday - basically, the closer you are to the middle of the pack, the more value you are worth to your codex's final standings).
SAG Ratings
2.02 Dark Eldar
2.00 Dark Angels
1.94 Space Wolves
1.88 Blood Angels
1.86 Grey Knights
1.79 Imperial Guard
1.76 Eldar
1.72 Orks
1.61 Space Marines
1.52 Tau
1.41 Black Templar
1.37 Tyranids
1.33 Witch Hunters
1.28 Necrons
1.05 Daemons
0.92 CSM
Median score for the entire field (for comparisons): 1.63
Mean: 1.73
fluger · 707 weeks ago